What to do
Now search the contents further down for the word "Its" and copy each line that has it.

Source
┌──
[1]
The following is a DFT calculation (wB97M-V/def2-TZVPD) of a structure of composition C9H19N3.

Its HOMO-LUMO gap is 9.37 eV. The calculation puts the molecular weight at 169.27 g/mol. As for the spin multiplicity: 1. Its energy above the lowest of the compared OMol25 structures with the same formula, charge and spin is 19.7 kcal/mol.

The geometry in XYZ format:
```
31
Properties=species:S:1:pos:R:3:forces:R:3
C 1.815371 2.706767 -0.843615 -0.15 -0.33 0.66
C -0.157370 3.628473 -1.438293 -0.73 0.89 -0.59
C -0.253672 2.143201 -1.830592 -0.52 -0.12 -0.36
C 0.485294 1.988173 -0.486521 0.89 -0.90 0.34
C -0.356112 3.167164 0.015816 -0.15 0.05 0.47
C -1.921580 -1.067982 0.177118 0.14 0.09 0.35
C -0.779169 -1.740813 -0.560683 -0.05 0.11 -1.10
C -0.115977 -4.443082 1.554051 -0.11 -0.34 -0.05
C 1.026272 -4.030157 2.422253 0.15 -0.63 0.32
H 2.374919 3.005040 0.050688 0.06 -0.28 -0.13
H 2.441653 2.108795 -1.503206 0.09 -0.02 0.03
H 1.476077 4.709107 -0.947918 0.11 0.13 -0.13
H -0.767967 4.421316 -1.917734 0.32 -0.55 0.32
H -1.299656 1.774005 -1.782187 0.67 0.18 -0.13
H 0.259427 1.853882 -2.758933 -0.22 -0.06 0.29
H 0.563174 1.023098 0.066355 -0.06 0.71 -0.45
H -1.376069 2.867715 0.280225 0.17 0.16 -0.12
H 0.096523 3.794230 0.789867 -0.17 -0.01 0.04
H -2.620650 -0.629642 -0.530973 -0.12 0.04 -0.03
H -2.444835 -1.796160 0.796681 -0.12 -0.01 -0.05
H -1.564620 -0.264183 0.829946 0.01 -0.06 -0.01
H -1.200225 -2.357063 -1.372256 0.24 0.12 0.31
H -0.147642 -0.974074 -1.060729 -0.21 -0.47 0.36
H 0.398556 -2.156814 1.063407 0.24 0.27 0.31
H -0.668486 -5.338909 1.816507 0.14 -0.16 -0.17
H 1.879128 -3.700596 1.817732 -0.19 0.19 0.15
H 1.362750 -4.908838 3.009046 -0.22 0.63 -0.16
H 0.688714 -3.243275 3.109487 0.37 -0.01 -0.01
N 1.289423 3.902542 -1.531023 -0.29 0.12 -0.20
N 0.062505 -2.613445 0.233690 -0.01 -0.55 -0.23
N -0.545755 -3.828473 0.531794 -0.25 0.82 -0.02
```
Positions in Å, forces in eV/Å.


[2]
The following is a DFT calculation (wB97M-V/def2-TZVPD) of a structure of composition H21O11.

Its HOMO-LUMO gap is 9.48 eV. The calculation puts the molecular weight at 197.16 g/mol. As for the spin multiplicity: 1. Its energy above the lowest of the compared OMol25 structures with the same formula, charge and spin is 66.8 kcal/mol. The total charge is -1.

The geometry in XYZ format:
```
32
Properties=species:S:1:pos:R:3:forces:R:3
O -1.597541 1.430361 -3.290994 -0.53 0.84 -0.58
H -1.287651 1.048640 -2.486964 0.63 -0.90 0.96
H 1.923906 1.815470 -0.249755 0.91 0.70 0.64
O 1.321278 1.284302 -0.733988 -2.29 -1.40 0.03
H -2.486725 -0.072747 0.684371 -1.52 -0.28 -2.18
H 1.373583 -0.186739 -1.405102 -0.08 -0.05 0.34
O 4.359310 0.114341 -0.865778 -1.20 -2.22 1.48
H -2.548717 -1.150729 -0.289777 1.52 -3.40 -1.23
H 0.450799 3.041224 2.945685 -1.15 0.60 1.06
O 0.706374 -2.293468 0.287961 -0.48 -1.43 4.37
H 0.845889 1.735694 2.175528 0.19 2.08 0.12
H -0.854092 0.521668 1.316829 2.25 -0.04 0.26
O -2.100049 2.507269 1.307702 0.97 0.12 0.13
H -1.729914 -3.215951 2.083837 0.85 -1.01 -0.34
H -1.998903 2.230941 -2.931037 -0.08 0.04 -0.35
O 1.130887 2.730499 2.388446 0.92 -2.06 -1.02
H -0.867588 -2.540198 3.280015 2.45 -0.85 1.01
H 2.092296 -0.740622 -2.538298 0.99 0.10 -1.69
O 1.526656 -1.069387 -1.873453 -0.69 0.33 0.90
H 4.320255 -0.617743 -0.176559 1.02 1.29 -0.86
O -2.944023 -0.338051 -0.191176 -0.14 3.61 3.11
H 3.409097 -0.030484 -1.059237 0.20 1.00 -0.52
H -0.565388 -2.493649 -0.538485 -1.53 0.83 -1.93
O -1.067758 -2.329199 -1.429402 -0.10 -0.62 0.93
H -0.526285 -1.722818 -1.963353 -0.06 -0.25 0.48
H 0.471739 0.929925 0.242855 1.45 0.20 0.46
O -1.589216 -2.540826 2.720930 -3.32 1.95 -0.72
H -1.966644 1.738187 1.886196 -0.15 0.66 -0.09
H 0.870764 -2.395280 -0.614144 1.88 1.20 -2.04
O 0.144933 0.602721 1.400522 -2.00 -0.86 -1.71
H -1.169686 2.791096 1.119323 -0.94 -0.39 0.17
H 0.816778 -1.460056 0.781056 0.03 0.22 -1.20
```
Positions in Å, forces in eV/Å.


[3]
└──

Completed
Its HOMO-LUMO gap is 9.37 eV. The calculation puts the molecular weight at 169.27 g/mol. As for the spin multiplicity: 1. Its energy above the lowest of the compared OMol25 structures with the same formula, charge and spin is 19.7 kcal/mol.
Its HOMO-LUMO gap is 9.48 eV. The calculation puts the molecular weight at 197.16 g/mol. As for the spin multiplicity: 1. Its energy above the lowest of the compared OMol25 structures with the same formula, charge and spin is 66.8 kcal/mol. The total charge is -1.